Now that the hustle and bustle of the holidays is finally over, many of us are already taking a look forward to our 2012 New Year’s resolutions. Since heart disease remains the number one killer of women in the United States, why not add getting heart healthy to your list of New Year’s resolutions this year?

Many of the risk factors for heart disease are preventable and what better time than the new year to make a plan to get heart healthy.

While improving your heart health might seem overwhelming, it can be easy with a little careful planning and strategy. First, begin by knowing your risk factors so you know where to concentrate your efforts.

Risk factors include items such as age, sex, family history, diabetes, smoking, poor diet, high blood pressure, smoking, obesity, physical inactivity, high cholesterol, and high stress levels. Since you can’t change your age, sex or family history, select resolutions that focus on the risk factors you can change.

Consider heart healthy resolutions such as the following:

1. Improve your diet. In general, you’ll want to ensure your diet includes foods such as fish for omega-3 fatty acids, whole grains, and fresh fruits and vegetables. Foods which are high in salt, cholesterol, or fat should be limited.

If you’re unsure where to start, check out the American Heart Association guidelines at

2. Stop smoking. Smoking is bad for your heart health for a number of reasons. The nicotine in cigarettes causes blood vessels to constrict. In addition, the added carbon monoxide leads to damage of the inner lining of blood vessels.

As a result, smokers are more likely than non-smokers to suffer a heart attack. If you’re a smoker, the best way to remove this risk factor is to quit.

3. Fight Obesity. In addition to heart disease, obesity contributes to a number of other health conditions such as diabetes which also further contribute to heart disease. It’s generally accepted that a body mass index or BMI of more than 25 is considered obese.

If you don’t know your BMI levels, check out the National Heart Lung and Blood Institute’s BMI tables at:

Once you know your BMI, it’s important to set realistic, achievable weight loss goals. Your health care professional can assist in creating a plan that’s right for you.

4. Physical inactivity. Let’s face it -- we are a couch potato society. We sit all day at work and then sit again at home. Adding a dose of physical activity to your daily routine can help you to control your diabetes level, control your weight, cholesterol and blood pressure levels.

Unless there are other health conditions which prevent you from exercising regularly, it’s recommended that we need 30 to 60 minutes of physical activity daily. If you don’t have a 30 minute time block, then break up the exercise into 10 minute segments until the 30 minute goal is met. The important thing is to get moving!

5. High blood cholesterol levels. If you don’ already know your blood cholesterol level, get tested. Often, there are no symptoms of high cholesterol until the damage to your heart is already done.

(Records of crystals from another source follow)
-- begin --
# 1
The following is a theoretical XRD peak list of CsLiAlH6. It was derived from a GGA-PBE-relaxed structure, using Cu Kα.
Lines closer than 0.1° are merged.

Cell and atoms:
```
9
Lattice="4.919 0.000 0.000 -2.460 4.260 0.000 0.000 0.000 6.095" Properties=species:S:1:pos:R:3 pbc="T T T"
Cs 0.000 0.000 0.000
Li 0.000 2.840 3.048
Al 2.460 1.420 3.048
H 2.101 0.088 4.116
H 1.126 1.776 1.979
H 2.818 0.088 1.979
H 1.485 2.397 4.116
H 3.793 1.776 4.116
H 3.434 2.397 1.979
```

Peak list (6 most intense, 2θ = 5–70°, by angle)
| hkl | 2θ/deg | I (rel.) |
| --- | --- | --- |
| 0 0 1 | 14.53 | 22 |
| 1 0 0 | 20.85 | 46 |
| 1 0 1 | 25.51 | 100 |
| 1 0 2 | 36.24 | 24 |
| 1 1 0 | 36.53 | 22 |
| 2 -1 2 | 47.50 | 22 |

---

# 2
The following is a theoretical XRD peak list of CsSrAlH6. It was derived from a GGA-PBE-relaxed structure, using Cu Kα.
Lines closer than 0.1° are merged.

Cell and atoms:
```
9
Lattice="5.708 0.000 0.000 -2.854 4.944 0.000 0.000 0.000 5.966" Properties=species:S:1:pos:R:3 pbc="T T T"
Cs 0.000 0.000 0.000
Sr 0.000 3.296 2.983
Al 2.854 1.648 2.983
H 2.206 0.370 4.024
H 1.424 1.725 1.942
H 3.502 0.370 1.942
H 2.072 2.848 4.024
H 4.285 1.725 4.024
H 3.637 2.848 1.942
```

Peak list (6 most intense, 2θ = 5–70°, by angle)
| hkl | 2θ/deg | I (rel.) |
| --- | --- | --- |
| 1 0 0 | 17.94 | 17 |
| 1 0 1 | 23.37 | 100 |
| 1 1 0 | 31.34 | 36 |
| 2 0 1 | 39.46 | 25 |
| 2 -1 2 | 43.90 | 29 |
| 3 -1 1 | 51.23 | 23 |

---

# 3
The following is a theoretical XRD peak list of CsAlTcH6. It was derived from a GGA-PBE-relaxed structure, using Cu Kα.
Lines closer than 0.1° are merged.

Cell and atoms:
```
9
Lattice="4.431 0.000 0.000 -1.927 4.070 0.000 -0.011 -0.012 6.395" Properties=species:S:1:pos:R:3 pbc="T T T"
Cs 0.000 0.000 0.000
Al 0.259 2.648 3.199
Tc 2.478 1.224 3.200
H 0.215 4.048 4.397
H 0.250 4.048 1.995
H 1.408 1.812 2.030
H 1.422 1.833 4.371
H 3.348 2.177 2.018
H 3.367 2.143 4.393
```

Peak list (6 most intense, 2θ = 5–70°, by angle)
| hkl | 2θ/deg | I (rel.) |
| --- | --- | --- |
| 0 1 1 | 25.95 | 88 |
| 1 0 -1 | 26.26 | 87 |
| 1 -1 1 | 27.44 | 100 |
| 0 0 2 | 27.90 | 61 |
| 1 1 0 | 37.65 | 28 |
| 1 1 -2 | 47.49 | 25 |

* * * * *

# 1
# La7ZnPb2N2
Theoretical powder XRD pattern, Cu Kα X-rays. Input: a PBE-relaxed structure.

Cell and atoms:
Cell lengths 5.0833, 5.0833, 13.8188 Å; angles 100.54, 100.54, 90.02 degrees
Atoms (fractional coordinates):
1 La 0.0000 0.0000 0.0000
2 La 0.0924 0.5921 0.1843
3 La 0.1925 0.1925 0.3864
4 La 0.4079 0.9076 0.8157
5 La 0.5921 0.0924 0.1843
6 La 0.8075 0.8075 0.6136
7 La 0.9076 0.4079 0.8157
8 Zn 0.5000 0.5000 0.0000
9 Pb 0.3212 0.3212 0.6414
10 Pb 0.6788 0.6788 0.3586
11 N 0.0998 0.0998 0.1994
12 N 0.9002 0.9002 0.8006

Largest 10 diffraction maxima, low angle first, 10° ≤ 2θ ≤ 90°:
two_theta, d_spacing, I (rel.)
25.67, 3.471, 258
28.20, 3.165, 248
32.01, 2.796, 1000
33.57, 2.670, 173
35.31, 2.542, 561
49.52, 1.841, 229
50.80, 1.797, 199
61.27, 1.513, 321
61.34, 1.511, 156
62.27, 1.491, 114

***

# 2
-- stop --

Exercise, controlling your weight, and maintaining a diet high in omega-3 fatty acids are great ways to help keep blood cholesterol at a healthy level. In some cases, medications may be required to control cholesterol levels.

It’s important to keep in mind that you need to address each of your risk factors for heart disease. However, if the list seems a bit daunting, then choose one or two risk factors to address now and create a plan to add the others later in the year.

The most important thing is that your resolution be not only realistic, but achievable. Here’s to a healthy heart in 2012!


Heart Disease. The Mayo Clinic. 12 Jan 2011.

What are Overweight and Obesity? National Heart Lung and Blood Institute. 01 Nov 2010.

_Attached: calculated crystals_
........
Starting from a DFT-relaxed cell (GGA-PBE, the Materials Project), the powder diffraction line list of Cs3Hg20 was computed for Cu Ka.
Kinematic intensities with the Lorentz-polarization factor, no thermal factor.

```
Cs3Hg20
1.0
11.6542 0.0000 0.0000
0.0000 11.6542 0.0000
0.0000 0.0000 11.6542
Cs Hg
6 40
Direct
0.0000 0.2500 0.5000
0.0000 0.7500 0.5000
0.2500 0.5000 0.0000
0.5000 0.0000 0.2500
0.5000 0.0000 0.7500
0.7500 0.5000 0.0000
0.0000 0.0000 0.0000
0.0000 0.2550 0.1346
0.0000 0.2550 0.8654
0.0000 0.5000 0.2500
0.0000 0.5000 0.7500
0.0000 0.7450 0.1346
0.0000 0.7450 0.8654
0.1346 0.0000 0.2550
0.1346 0.0000 0.7450
0.2450 0.5000 0.3654
0.2450 0.5000 0.6346
0.2500 0.0000 0.5000
0.2500 0.2500 0.2500
0.2500 0.2500 0.7500
0.2500 0.7500 0.2500
0.2500 0.7500 0.7500
0.2550 0.1346 0.0000
0.2550 0.8654 0.0000
0.3654 0.2450 0.5000
0.3654 0.7550 0.5000
0.5000 0.2500 0.0000
0.5000 0.3654 0.2450
0.5000 0.3654 0.7550
0.5000 0.5000 0.5000
0.5000 0.6346 0.2450
0.5000 0.6346 0.7550
0.5000 0.7500 0.0000
0.6346 0.2450 0.5000
0.6346 0.7550 0.5000
0.7450 0.1346 0.0000
0.7450 0.8654 0.0000
0.7500 0.0000 0.5000
0.7500 0.2500 0.2500
0.7500 0.2500 0.7500
0.7500 0.7500 0.2500
0.7500 0.7500 0.7500
0.7550 0.5000 0.3654
0.7550 0.5000 0.6346
0.8654 0.0000 0.2550
0.8654 0.0000 0.7450
```

The 10 most intense peaks (2θ from 10° to 90°), low angle first:
d (Å)	I/Imax	index
8.241	34	1 1 0
3.364	42	2 2 2
3.232	55	3 2 0
3.115	47	3 2 1
2.914	100	4 0 0
2.543	85	4 2 1
2.485	41	3 3 2
2.379	62	4 2 2
1.891	35	5 3 2
1.557	34	6 4 2

=====

Record 1
Structure and calculated PXRD pattern of Pm8SmEr3 (DFT lattice parameters and positions (GGA-PBE); Cu Kα (weighted mean of Kα1 and Kα2)).

Main lines, sorted by position (10 to 90 degrees two-theta):
2theta  I_rel
30.3  100
30.3  100
35.1  68
50.6  60
60.0  36
60.1  36

Structure:
abc: 6.2538 7.2394 9.5412
angles: 79.05 77.30 73.15
Space group P-1 (No. 2)
One atom of each set of equivalent atoms:
Pm 0.9998 0.1675 0.3316 (multiplicity 2)
Pm 0.0011 0.6664 0.3320 (multiplicity 2)
Pm 0.4975 0.1671 0.8341 (multiplicity 2)
Pm 0.4977 0.6667 0.8341 (multiplicity 2)
Sm 0.5000 0.0000 0.5000 (multiplicity 1)
Er 0.0000 0.0000 0.0000 (multiplicity 1)
Er 0.0000 0.5000 0.0000 (multiplicity 1)
Er 0.5000 0.5000 0.5000 (multiplicity 1)



Record 2
Structure and calculated PXRD pattern of Pm5Sm2Er3 (DFT lattice parameters and positions (GGA-PBE); Cu Kα (weighted mean of Kα1 and Kα2)).

Main lines, sorted by position (10 to 90 degrees two-theta):
2theta  I_rel
29.8  50
29.9  51
30.5  100
32.0  25
33.0  49
48.9  27

Structure:
abc: 10.8464 15.4037 9.7419
angles: 90.00 123.51 90.00
Space group C2/c (No. 15)
One atom of each set of equivalent atoms:
Pm 0.0000 0.0315 0.2500 (multiplicity 4)
Pm 0.0000 0.2313 0.2500 (multiplicity 4)
Pm 0.0000 0.2693 0.7500 (multiplicity 4)
Pm 0.2348 0.1167 0.7240 (multiplicity 8)
Sm 0.1449 0.3783 0.5524 (multiplicity 8)
Er 0.0000 0.4759 0.7500 (multiplicity 4)
Er 0.1579 0.1203 0.0486 (multiplicity 8)



Record 3
........

What is Coronary Heart Disease? National Heart Lung and Blood Institute. 01 May 2011.

Reviewed January 2, 2012
by Michele Blacksberg RN
Edited by Jody Smith